Monday, August 25, 2008

GGALGG: Gay Medal Edition

Sigh. I miss the Olympics already. All those amazing, muscley, sweaty, semi-clad women. Once every four years isn't nearly soon enough. Let's look back once more with feeling at all the gaiety. And by gaiety, I mean just gay – as in, let's see how some of the out gay women did at the games. So, by popular request, I give you GGALGG. Or, as these gals might call it, just another Monday.
[Hat tip, USWNT Fan, for the chest bump above!]

[Click each to enlarge the Gay Gals Acting Like Gay Gals.]

Natasha Kai, USA, soccer, goldBrandi Chastain, eat your heart out.

Gro Hammerseng and Katja Nyberg, Norway, handball, goldSneaky Russian checks out Gro's abs.Katja retaliates for the ogling.Big gay hug in 5, 4, 3, 2, 1...

Carole Péon, France, triathlon, 34thBiceps like that are their own medal.

Imke Duplitzer, Germany, fencing, quarterfinalsThis outfit will soon be seen in lesbian bars everywhere.

Fiona Pennie, Great Britain, canoe/kayak, 19thForearms like that are their own medal.

Victoria Svensson, Sweden, soccer, quarterfinalsRounding second base, headed for third.

Judith Arndt, Germany, cycling, 41st and 6thBest hat at the Olympics, hands down.

Linda Bresonik, Germany, soccer, bronzeThird place and a threesome. Life is filled with happy synchronicity.

Lauren Lappin (37) and Vicky Galindo (19), USA, softball, silverGee, lesbians play softball?

[For more on the big gay winners, check out AfterEllen today.]


  1. "Rounding second base, headed for third." *ROFL*...

  2. Anonymous3:46 AM

    thanks for bringing us your coverage of the olympic games, it's been well appreciated, and much shared! I agree with ya, going to miss all those hot bodies, tank tops, and sporty dyke eye candy.

  3. Anonymous5:16 AM

    (^-^), i like fifth and the last pic, they look good,
    and the swedish one .. ah..very nice defence...

Between two parts of the entry: records of molecules =
<<<
# C2F3HgNO5S2

A molecular structure, C2F3HgNO5S2 in a non-equilibrium geometry (wB97M-V/def2-TZVPD, the OMol25 dataset).

CARTESIAN COORDINATES (ANGSTROEM)
Hg -1.44251 0.48513 -1.95860
N -0.07210 -0.06988 1.19170
S -0.78093 1.46827 0.99447
O -1.99102 1.16500 -0.11090
S 0.82900 -0.59226 0.00755
O 0.36353 -0.18860 -1.36407
O 1.13230 -2.01408 0.16924
C 2.52731 0.20794 0.07300
F 2.46917 1.49289 -0.24021
F 3.01044 0.08491 1.30126
F 3.34378 -0.40514 -0.77356
O -2.79561 -0.96362 -0.78992
C -3.05483 -0.33105 0.21121
O -3.53854 -0.33952 1.28885

Calculated values
- Calculated total energy: -47798.3781 eV
- 2S+1: 2
- E_HOMO (spin up / spin down): -3.985 / -4.490 eV
- Net charge: -1
- Energy above the lowest of the compared OMol25 structures with the same formula, charge and spin: 1.2 kcal per mole
- Gap between HOMO and LUMO (spin up / spin down): 0.2685 / 0.2454 hartree

Let us look at the natural (NBO) charges, expressed in e, one per atom:
1 Hg 0.883
2 N -1.121
3 S 0.639
4 O -1.056
5 S 2.174
6 O -1.105
7 O -0.927
8 C 0.726
9 F -0.318
10 F -0.318
11 F -0.319
12 O -0.721
13 C 1.038
14 O -0.575

=====

# C2F3NO3PbS2

A molecular structure, C2F3NO3PbS2 in a non-equilibrium geometry (wB97M-V/def2-TZVPD, the OMol25 dataset).

CARTESIAN COORDINATES (ANGSTROEM)
N -0.74430 -1.99338 0.72017
S 0.05936 -2.41649 -0.80378
S -1.11892 -0.48546 0.93229
C -2.36447 0.03128 -0.44355
F -1.85311 0.12484 -1.66733
F -3.38162 -0.82567 -0.47710
F -2.85200 1.23284 -0.10967
O 4.09880 2.10523 1.51082
C 3.55540 1.43953 0.74879
O 3.15635 0.66654 -0.04064
O 0.04088 0.48882 0.44160
Pb 1.40364 -0.36809 -0.81160

Calculated values
- Calculated total energy: -44775.0433 eV
- 2S+1: 1
- E_HOMO: -8.022 eV
- Gap between HOMO and LUMO: 0.2702 hartree

Let us look at the natural (NBO) charges, expressed in e, one per atom:
1 N -1.000
2 S -0.189
3 S 1.287
4 C 0.754
5 F -0.323
6 F -0.315
7 F -0.330
8 O -0.426
9 C 1.083
10 O -0.617
11 O -1.085
12 Pb 1.160

=====

# C2F6NO4S2Tm

A molecular structure, C2F6NO4S2Tm in a non-equilibrium geometry (wB97M-V/def2-TZVPD, the OMol25 dataset).

CARTESIAN COORDINATES (ANGSTROEM)
O 1.48730 6.98481 0.56990
Tm -0.40695 6.46004 -0.62832
N -1.45055 4.59335 0.57154
S 2.39422 5.74313 1.25335
O 3.79416 5.75085 0.72269
C 2.62276 6.44808 2.97736
F 3.33351 5.58838 3.70347
F 1.44974 6.63282 3.57309
F 3.26881 7.60498 2.93292
S -1.80312 3.86879 -0.71114
O -1.21185 4.65027 -1.90360
O -3.17003 3.37398 -0.97830
C -0.81399 2.28897 -0.85654
F 0.48938 2.54264 -0.75901
F -1.15258 1.45497 0.12593
F -1.02444 1.67866 -2.02023

Calculated values
- Calculated total energy: -79256.7832 eV
- 2S+1: 3
- E_HOMO (spin up / spin down): -9.701 / -9.698 eV
- Energy above the lowest of the compared OMol25 structures with the same formula, charge and spin: 0.0 kcal per mole
- Gap between HOMO and LUMO (spin up / spin down): 0.2383 / 0.2402 hartree

Let us look at the natural (NBO) charges, expressed in e, one per atom:
1 O -1.174
2 Tm 2.331
3 N -1.350
4 S 1.404
5 O -0.897
6 C 0.768
7 F -0.306
>>>

    is the hat true? the cycling..
    oh, i'm laughing, i can't believe
    german made like that stuff..
    oh, it's like star wars..somethin.

    she seems like going out of the earth. ah, man!!

    thank you for your good post!
    ready for good week? today is monday!!

    see ya!!

    *question about religion? i'll answer in person only to friend.

  4. Anonymous5:33 AM

    Great site - wish I'd discovered it before or during the Oly's - but after is okay, too.

    I love your sense of humor and will definitely look forward to your commentary on politics, life, culture ... going forward!

  5. Anonymous10:29 AM

-- Misplaced data records --
~~~
No. 1
~~~
-- Here the article continues --

    Rounding second base, headed for third.

    Laughed, then thought "wrong sport"

    Laughed harder when I saw the everyone else = no comment on the softball picture. Though a few ARE married and have kids...but still.

    Love, love(!) all your Olympic posts. I really don't know what I'm going to do without all of those sweat-glistening bodies gracing my TV screen. (Or at least until Sept 22nd when Misty May is on Dancing with the Stars)...

  6. Ah the end of the olympics is a sad time indeed. Beach volleyball was like having free porn. Anyway at least The Sarah Connor Chronicles starts soon (and SoN) and I get to drool again at the TV.

  7. DS, a big thank you for your coverage of the O.
    As always it takes work to find the women athletes on network TV. But thanks to your (Phelps pfree) reports we are able to appreciate real women. Seeing people doing what they love and excel at, yes your can't get more sexy than that.
    I have to say it's good to be actor free for a time.

  8. Natasha Kai's tattoo is sooo damn cool!

  9. OMG. Ms. Snarker. You just found me a gay cyclist AND a gay triathlete.

    I am so powerfully moved at this moment, I might even be inspired to say something so insipidly saccharine as . . .

    I heart you :-)

  10. Anonymous3:59 PM

    All this discussion about softball players inspired me look up the Australian ones (having seen them on tv and wanting to now more), and while none are 'out' surely if your favourite band is the indigo girls and your favourite pastime is hanging aroung with your partner and your dog... It made me wonder if we need to apply the 'Jody Foster School of Out' to sport and accept that some of these girls are out to those of us who care and can tell and the only people who don't know are those who haven't really been paying attention!?

  11. Love the pics and talking about abs, Don't tell me that you have not seen Gro Hammersengs abs in this handball picture: They are awesome!!!
